**Material**
-- begin --
Compound: CoP2H18N6F12
Source: the Materials Project database
Functional: PBE with a Hubbard U
Structure: relaxed

abc: 8.304 8.308 8.394
angles: 118.78 118.81 91.15
Sites, in units of the cell vectors:
Co1 0.000 0.000 0.000
P1 0.244 0.750 0.502
P2 0.744 0.251 0.503
H1 0.109 0.117 0.803
H2 0.116 0.280 0.398
H3 0.162 0.675 0.975
H4 0.166 0.312 0.032
H5 0.240 0.128 0.408
H6 0.288 0.282 0.355
H7 0.300 0.819 0.976
H8 0.306 0.176 0.033
H9 0.320 0.882 0.202
H10 0.684 0.118 0.995
H11 0.685 0.756 0.879
H12 0.722 0.713 0.603
H13 0.727 0.179 0.856
H14 0.820 0.888 0.148
H15 0.835 0.868 0.592
H16 0.863 0.315 0.126
H17 0.874 0.705 0.011
H18 0.941 0.725 0.657
N1 0.164 0.172 0.965
N2 0.177 0.192 0.325
N3 0.221 0.817 0.037
N4 0.793 0.174 0.992
N5 0.826 0.818 0.013
N6 0.854 0.807 0.678
F1 0.095 0.876 0.495
F2 0.110 0.601 0.500
F3 0.114 0.612 0.232
F4 0.374 0.884 0.772
F5 0.377 0.899 0.505
F6 0.393 0.623 0.509
F7 0.600 0.121 0.510
F8 0.603 0.117 0.233
F9 0.615 0.398 0.508
F10 0.870 0.101 0.495
F11 0.884 0.384 0.772
F12 0.888 0.380 0.497

Output
The calculated formation energy is -31.699 kcal/mol of atoms. The space group is P1, No. 1.

Compound: Na2V2CoH4O6F6
Source: the Materials Project database
Functional: PBE with a Hubbard U
Structure: relaxed

abc: 8.413 5.352 10.611
angles: 90.00 92.00 90.00
Sites, in units of the cell vectors:
Na1 0.033 0.053 0.164
Na2 0.033 0.447 0.664
Na3 0.967 0.553 0.336
Na4 0.967 0.947 0.836
V1 0.210 0.525 0.006
V2 0.210 0.975 0.506
V3 0.790 0.025 0.494
V4 0.790 0.475 0.994
Co1 0.500 0.000 0.000
Co2 0.500 0.500 0.500
H1 0.343 0.533 0.277
H2 0.343 0.967 0.777
H3 0.495 0.700 0.269
H4 0.495 0.800 0.769
H5 0.505 0.200 0.231
H6 0.505 0.300 0.731
H7 0.657 0.033 0.223
H8 0.657 0.467 0.723
O1 0.305 0.705 0.542
O2 0.305 0.795 0.042
O3 0.351 0.189 0.486
O4 0.351 0.311 0.986
O5 0.457 0.539 0.303
O6 0.457 0.961 0.803
O7 0.543 0.039 0.197
O8 0.543 0.461 0.697
O9 0.649 0.689 0.014
O10 0.649 0.811 0.514
O11 0.695 0.205 0.958
O12 0.695 0.295 0.458
F1 0.019 0.223 0.470
F2 0.019 0.277 0.970
F3 0.163 0.615 0.836
F4 0.163 0.885 0.336
F5 0.171 0.068 0.679
F6 0.171 0.432 0.179
F7 0.829 0.568 0.821
F8 0.829 0.932 0.321
F9 0.837 0.115 0.664
F10 0.837 0.385 0.164
F11 0.981 0.723 0.030
F12 0.981 0.777 0.530

Output
The calculated formation energy is -50.692 kcal/mol of atoms. The space group is P2_1/c, No. 14.

Compound: Np2CoH8F10
Source: the Materials Project database
Functional: PBE with a Hubbard U
Structure: relaxed

abc: 10.703 6.961 8.679
angles: 90.00 97.83 90.00
Sites, in units of the cell vectors:
Np1 0.058 0.135 0.195
Np2 0.058 0.365 0.695
Np3 0.942 0.635 0.305
Np4 0.942 0.865 0.805
Co1 0.500 0.000 0.000
Co2 0.500 0.500 0.500
H1 0.305 0.572 0.038
H2 0.305 0.928 0.538
H3 0.358 0.025 0.023
H4 0.358 0.475 0.523
H5 0.372 0.602 0.520
H6 0.372 0.898 0.020
H7 0.472 0.215 0.011
H8 0.472 0.285 0.511
H9 0.528 0.715 0.489
H10 0.528 0.785 0.989
H11 0.628 0.102 0.980
H12 0.628 0.398 0.480
H13 0.642 0.525 0.477
H14 0.642 0.975 0.977
H15 0.695 0.072 0.462
H16 0.695 0.428 0.962
F1 0.083 0.197 0.439
F2 0.083 0.303 0.939
F3 0.100 0.032 0.723
F4 0.100 0.468 0.223
F5 0.104 0.570 0.510
F6 0.104 0.930 0.010
F7 0.114 0.654 0.800
F8 0.114 0.846 0.300
F9 0.249 0.163 0.211
F10 0.249 0.337 0.711
F11 0.751 0.663 0.289
F12 0.751 0.837 0.789
F13 0.886 0.154 0.700
F14 0.886 0.346 0.200
F15 0.896 0.070 0.990
F16 0.896 0.430 0.490
F17 0.900 0.532 0.777
F18 0.900 0.968 0.277
F19 0.917 0.697 0.061
F20 0.917 0.803 0.561

Output
The calculated formation energy is -38.591 kcal/mol of atoms. The space group is P2_1/c, No. 14.

Compound: Co5P4H12O16F2
Source: the Materials Project database
Functional: PBE with a Hubbard U
Structure: relaxed

abc: 9.978 10.269 10.269
angles: 130.23 90.00 90.00
Sites, in units of the cell vectors:
Co1 0.000 0.000 0.000
Co2 0.075 0.372 0.020
Co3 0.080 0.005 0.644
Co4 0.420 0.505 0.144
Co5 0.425 0.872 0.520
Co6 0.500 0.500 0.500
Co7 0.575 0.520 0.872
Co8 0.580 0.144 0.505
Co9 0.920 0.644 0.005
Co10 0.925 0.020 0.372
P1 0.186 0.777 0.236
-- stop --

**Assignment**
Please say how many lines of the block above hold the word "F5", as a bare number.

**Written answer**
3